Hello! I’ve been trying out React Three Fiber and three.js and it’s a whole new world to me. I also started learning to use blender, so I wanted share some initial learnings about 3D.
For a web developer, the building blocks would be HTML, CSS and JS. But when building in 3D, there are other things that are vital to understand.
Building blocks of 3D
- ◻️ Geometry
- ⬛ Material
- 💡Light
- 🎥 Camera
- 🔲 Mesh ( Geometry ◻️ + ⬛ Material )
◻️ Geometry

Geometry deals with the “shape” and “size” of objects. For eg. a cube, a sphere etc. These objects can be placed in 3D space along the X, Y and Z axes.
Here’s a diagram from early grad school math class.

Every point along each axes is called a “co-ordinate”. In 3D space, an object’s position is denoted using it’s (x, y, z) coordinates.
⬛ Material

The appearance of a 3D object is described using a “Material”. It is what you layer on top of a 3D object, to control the way the object appears when rendered.
It behaves much the way a material does in the real world - whether that’s the way light interacts with its surface, or traits like color, texture, transparency and reflectivity.
A whole set of properties interact to give a material a specific set of visual attributes, so that you can see that than an object is soft like leather, or that it is clear and transparent and bouncing light around - like glass or crystal.
The appearance of an object a.k.a Material ⬛ is described using programs called “Shaders”. Gamers might have come across “Shader Packs” in their lingo.
A Shader Program describes traits (think color, position etc.,) of:
- Vertex
- Pixel / Fragment
Shaders are written in a C-Like languages like HLSL or GLSL (OpenGL Shading Language) and are hence compatible with WebGL. There are other alternatives that either output GLSL and provide a better alternative in a much more widely used language. For eg. libraries like rust-gpu enable writing more type-safe shaders in Rust.
🔲 Mesh

A Mesh or a polygon mesh is defined as a collection of vertices, edges and faces that defines the shape of an object. In 3D Modeling software like Blender or R3F a Mesh can be thought of as a combination of Geometry and Material that can be placed in 3D Space.

💡 Light

Attached: calculated crystals >
/*
[1]
## Na4Mg3ZrP2S4O24 (PBE)

Data for a relaxed Na4Mg3ZrP2S4O24 crystal.

Calculated values
E_tot ... -245.1 eV per formula unit
V ... 13.60 Å³ per atom
Calculated formation energy ... -2.55 eV per atom

```
data_Na4Mg3ZrP2S4O24
_chemical_formula_sum 'Na12 Mg9 Zr3 P6 S12 O72'
_symmetry_space_group_name_H-M 'P 1'
_symmetry_Int_Tables_number 1
_symmetry_space_group_name_Hall 'P 1'
_cell_length_a 8.8642
_cell_length_b 8.8762
_cell_length_c 22.7418
_cell_angle_alpha 89.68
_cell_angle_beta 89.88
_cell_angle_gamma 60.08
loop_
_atom_site_label
_atom_site_type_symbol
_atom_site_fract_x
_atom_site_fract_y
_atom_site_fract_z
Na1 Na 0.0000 0.0000 0.0000
Na2 Na 0.0042 0.3780 0.2467
Na3 Na 0.0140 0.0050 0.4996
Na4 Na 0.0351 0.3228 0.9060
Na5 Na 0.2962 0.6810 0.9139
Na6 Na 0.3359 0.3437 0.8288
Na7 Na 0.3477 0.3368 0.3353
Na8 Na 0.3680 0.6475 0.2429
Na9 Na 0.6634 0.6912 0.1623
Na10 Na 0.6688 0.6729 0.6731
Na11 Na 0.7058 0.9913 0.5837
Na12 Na 0.9788 0.3374 0.5867
Mg1 Mg 0.0012 0.0144 0.3493
Mg2 Mg 0.0090 0.0050 0.1425
Mg3 Mg 0.0110 0.0139 0.6477
Mg4 Mg 0.3362 0.3559 0.9828
Mg5 Mg 0.3375 0.3496 0.4815
Mg6 Mg 0.3478 0.3454 0.1753
Mg7 Mg 0.6700 0.6894 0.3165
Mg8 Mg 0.6880 0.6735 0.8086
Mg9 Mg 0.9981 0.0129 0.8423
Zr1 Zr 0.3302 0.3495 0.6838
Zr2 Zr 0.6649 0.6810 0.5160
Zr3 Zr 0.6728 0.6842 0.0175
P1 P 0.0499 0.6446 0.5771
P2 P 0.3314 0.0594 0.5781
P3 P 0.3319 0.6442 0.0807
P4 P 0.6300 0.3415 0.5786
P5 P 0.9666 0.6820 0.9115
P6 P 0.9970 0.3069 0.7477
S1 S 0.0015 0.7234 0.2471
S2 S 0.0493 0.3408 0.0813
S3 S 0.2957 0.0151 0.2469
S4 S 0.2993 0.7257 0.7486
S5 S 0.3727 0.6801 0.4095
S6 S 0.3788 0.9763 0.9116
S7 S 0.6290 0.0622 0.0805
S8 S 0.6701 0.3864 0.9122
S9 S 0.6702 0.9792 0.4114
S10 S 0.7135 0.3032 0.2470
S11 S 0.7146 0.0104 0.7465
S12 S 0.9695 0.3828 0.4106
O1 O 0.0134 0.8296 0.5869
O2 O 0.0235 0.1901 0.0876
O3 O 0.0281 0.2005 0.8046
O4 O 0.0331 0.8022 0.2994
O5 O 0.1257 0.5248 0.6325
O6 O 0.1268 0.3690 0.1349
O7 O 0.1413 0.3688 0.4171
O8 O 0.1492 0.5143 0.9196
O9 O 0.1504 0.3206 0.0274
O10 O 0.1558 0.5592 0.5232
O11 O 0.1611 0.5426 0.2415
O12 O 0.1672 0.3256 0.7422
O13 O 0.1732 0.0373 0.5867
O14 O 0.1734 0.8270 0.0860
O15 O 0.1859 0.0450 0.2998
O16 O 0.1962 0.7980 0.8030
O17 O 0.2009 0.8397 0.4057
O18 O 0.2019 0.9928 0.9084
O19 O 0.2143 0.8274 0.6957
O20 O 0.2159 0.9849 0.1945
O21 O 0.3039 0.1712 0.5241
O22 O 0.3123 0.1744 0.2396
O23 O 0.3146 0.5591 0.0246
O24 O 0.3182 0.5458 0.7428
O25 O 0.3565 0.1517 0.9205
O26 O 0.3591 0.5227 0.4172
O27 O 0.3652 0.5367 0.1375
O28 O 0.3737 0.1370 0.6331
O29 O 0.4605 0.8636 0.9656
O30 O 0.4621 0.7039 0.4625
O31 O 0.4715 0.8549 0.2541
O32 O 0.4745 0.7055 0.7544
O33 O 0.4797 0.6581 0.3565
O34 O 0.4856 0.8914 0.8601
O35 O 0.5019 0.6615 0.0731
O36 O 0.5035 0.8769 0.5723
O37 O 0.5130 0.1511 0.4177
O38 O 0.5137 0.3686 0.9209
O39 O 0.5164 0.3763 0.6342
O40 O 0.5230 0.1348 0.1336
O41 O 0.5333 0.3299 0.2414
O42 O 0.5365 0.1732 0.7419
O43 O 0.5468 0.1610 0.0269
O44 O 0.5482 0.3132 0.5247
O45 O 0.6370 0.5008 0.8611
*/

Light plays an important role in 3D because there’s no way to properly distinguish a 2D object from 3D without light.
Two basic types of light sources
- Ambient Light ❇️
- Point Light 🔦
Ambient Light ❇️ makes all objects lit evenly without casting any shadows.
Point Light 🔦 is a directional light source that casts shadows. This is what gives the “3D effect” to an object placed in 3D space when viewed in a 2D screen.
🎥 Camera

The Camera acts as a window into the 3D world. The Renderer ✨ looks through the camera and restricts itself to render what is visible through the camera lens / viewport.
I’ll keep this blog updated as I dive more into 3D. That’s all for now, and Happy new year 2022!
Also here’s my first blender artwork 🎉
See you in the next one 👋